**Listing**
<<<
Theoretical powder X-ray diffraction pattern
Compound: CaHo2VO6
Radiation: Cu Ka
Structure: a DFT-relaxed cell (PBE+U, Alexandria)

Top 10 peaks for 15° ≤ 2θ ≤ 90°, by angle:
- (0 1 -1), 21.77 deg, rel. 53
- (1 0 0), 21.90 deg, rel. 53
- (-1 1 1), 22.16 deg, rel. 52
- (1 -1 1), 30.28 deg, rel. 58
- (0 1 1), 30.53 deg, rel. 56
- (1 0 -2), 30.64 deg, rel. 55
- (1 -2 0), 31.86 deg, rel. 100
- (-2 1 1), 32.16 deg, rel. 48
- (0 3 -1), 56.59 deg, rel. 27
- (-3 3 1), 57.14 deg, rel. 30

Structure:
```
data_CaHo2VO6
_chemical_formula_sum 'Ca1 Ho2 V1 O6'
_space_group_name_H-M_alt 'P 1'
_space_group_IT_number 1
_space_group_name_Hall 'P 1'
_cell_length_a 5.568
_cell_length_b 5.616
_cell_length_c 5.851
_cell_angle_alpha 91.00
_cell_angle_beta 117.66
_cell_angle_gamma 119.66
loop_
_atom_site_label
_atom_site_type_symbol
_atom_site_fract_x
_atom_site_fract_y
_atom_site_fract_z
_atom_site_occupancy
Ca1 Ca 0.000 0.000 0.000 1
Ho1 Ho 0.551 0.273 0.828 1
Ho2 Ho 0.568 0.787 0.345 1
V1 V 0.972 0.483 0.457 1
O1 O 0.069 0.398 0.192 1
O2 O 0.070 0.222 0.655 1
O3 O 0.440 0.842 0.658 1
O4 O 0.516 0.117 0.179 1
O5 O 0.794 0.669 0.184 1
O6 O 0.824 0.582 0.650 1
```
>>>
**To do**
Now count the lines earlier on that contain the word "O3" and give the number alone.
**Reply**
1